How to hold a baby

how to hold a baby - new mom
front and back carry for newborns

How to hold a baby: Holding a baby for new moms

How to hold a baby, An infant child lives in the womb for nine months. This warm place nurtures the infant and provides warmth. The warmth of the womb needs to be duplicated once the child is brought into the real world. The manipulation and recreation of this feeling is recreated by the one holding the babe. The infant is cuddled and nursed by the mother, but it is important that all parties involved can hold the baby safely. This is a huge requirement for the baby since its body formation is still delicate. The tendency to treat the babe as a normal grown individual is natural yet at all cost needs to be avoided. The following blog will discuss the methods on how to do so. The blog will discuss how to hold a baby

The most delicate part of the newborns body is its neck. This area encompasses the nervous system, therefore sustaining the ability of the newborn to grow. The focus on the neck, is severely important by the individual cradling the baby. The main focus should be this. One should use the warmth of their inner palms to support the bottom of the head, which is the back of the neck. For most babes the neck is not yet so visible, due to how small in proportion the baby is. Alongside, the head is visibly larger due to the babe’s affection able appearance.  The baby needs warmth, this is another key factor in how the baby will be held and nursed by its mother. While the baby suckles the mother, she must bring the child close to her chest, passing her warm body temperature onto the babe’s body.

This will replicate that womb like warmth which the child is craving after becoming familiarized for nine months. As the baby becomes accustomed to the outside worlds, and a better circulation of air, it will become less dependent. But the baby is very dependent as of now. When one holds the baby, it should be held horizontally and near to the chest. It needs to be held with both arms and hands supporting its delicate places. This is very important since the child is not able to support itself. The horizontal position again duplicate affection, as the babe is snug to the chest. This gesture indicates safety. The sensory indications of the child are yet developing, these sensory indicators are triggered by touch, smell, and taste. By providing warmth one is helping these senses develop further and faster. 

Yet, the baby will be signifying discomfort. Amongst the limited, abilities of a newborn, this is one, the cry. The cry signifies needs and dislike. For the individuals caring forthe baby this is severely important since this is an indicator of discomfort. If the cry is heard while the baby is being held the adjustment of the position is needed. This consideration will familiarize the child and its holder.

This indication is key for communication between the two parties. All these factors need to be considered before taking the baby into one’s hands. The child needs to be handled with love. It can not pick up speech or recognize signs as of yet, however it can recognize energy. A person’s energy is picked by another person. Positive lovely energy will be sensed immediately allowing the baby to feel safer in its position. These interior signs are built into the human as of birth. To transform this feeling into a gesture, one must position the head near the child’s head upon picking it up. A smile will definitely help also. A smile will indicate a friendly gesture. As the child’s view will the face of the individual carrying it, they would like to feel the friendliness of the person. 

This is why most babies feel more comfortable with women rather than men due to the affectionate appearance a woman has. Beauty and happiness attract the infant rather than the more straitened features of a man. The importance of this than therefore be emphasized when holding the baby. Remember to be, kind. Talking to the babe is another method. It craves human feelings. This is why studies show that when talking to a child most people make their voice high pitch. Again, emphasizes the more female characteristics to comfort the newborn. Therefore, try this technique. Number one, properly hold the child. Support its body with arm strengths and horizontal positioning. Number two, smile and be happy giving positive energy from one soul to another. Number three, address the child as though you would a small puppy. Call the child by a sweet name, making it feel warm and human like. Rather than a robot. 

Addressing the nature of the touch once again. Lets discusses the efforts of movements. Sudden movements can startle the baby, this can scare or even traumatize the baby. If one moves suddenly or jolts in habitual nature the babe can get very scared and, in some cases, hurt. Since the limbs are yet to develop and the body is delicate in anatomy. Yet the baby still needs to be moved when being held. How can this be achieved one might question? Well the answer is simple. Small movements need to be practiced. Rock the baby to sleep.

The point here which is being argued is that the child is used to movement and needs to learn and develop the skill of movements. Just as one would help a man with a failed back to sit up, nudging those muscles and provided a little bit of help. Simply this is what one is doing for the child by rocking it back and forth, they are familiarizing it with using its body in a way of simple movement.

_Records of crystals that have nothing to do with the page_
/*
Compound: Li2VO2F2
Source: the Materials Project
Functional: GGA+U
Structure: optimized geometry

a = 6.037 Å, b = 5.947 Å, c = 8.405 Å
α = 90.00°, β = 90.78°, γ = 90.00°
Atoms (fractional coordinates):
Li (0.000, 0.000, 0.000)
Li (0.000, 0.483, 0.500)
Li (0.244, 0.249, 0.239)
Li (0.248, 0.993, 0.640)
Li (0.257, 0.499, 0.869)
Li (0.743, 0.499, 0.131)
Li (0.752, 0.993, 0.360)
Li (0.756, 0.249, 0.761)
V (0.241, 0.771, 0.236)
V (0.500, 0.489, 0.500)
V (0.500, 0.978, 0.000)
V (0.759, 0.771, 0.764)
O (0.037, 0.971, 0.259)
O (0.265, 0.758, 0.015)
O (0.473, 0.523, 0.287)
O (0.484, 0.991, 0.222)
O (0.516, 0.991, 0.778)
O (0.527, 0.523, 0.713)
O (0.735, 0.758, 0.985)
O (0.963, 0.971, 0.741)
F (0.027, 0.502, 0.255)
F (0.254, 0.728, 0.497)
F (0.257, 0.225, 0.995)
F (0.261, 0.267, 0.508)
F (0.739, 0.267, 0.492)
F (0.743, 0.225, 0.005)
F (0.746, 0.728, 0.503)
F (0.973, 0.502, 0.745)

Properties
* E above lowest polymorph: 37 meV/atom
* space group: P2, No. 3
* total energy: -42.23 eV/f.u.
* M_tot: 1.1 μB/f.u.
* ΔH_f (0 K): -2.80 eV per atom

~~~~~

! PBE-GGA Na6In8Si3S9O48, relaxed; values from VASP
! - DFT formation energy: -2.115 eV/atom
! - Calculated total energy: -6.007 eV/atom
&SYSTEM
  ibrav = 0, nat = 222, ntyp = 5
/
ATOMIC_SPECIES
Na 22.99 Na.upf
O 16.00 O.upf
In 114.82 In.upf
S 32.06 S.upf
Si 28.09 Si.upf
CELL_PARAMETERS angstrom
17.9839 0.0339 0.0788
-4.4812 7.7687 -0.0036
0.0995 0.0459 23.4220
ATOMIC_POSITIONS angstrom
Na 1.6339 2.4032 21.3345
Na 4.5699 2.6306 19.4362
O 3.8277 6.2734 13.8237
O 0.8162 6.8701 8.5718
In 13.5830 2.7444 11.3792
O 16.1883 0.2169 18.8497
O 9.6899 3.8484 17.6761
Na 4.6275 2.7310 7.8652
O 11.7182 7.5549 16.4096
Na 9.0801 5.0980 15.5920
O 10.8815 0.2897 7.2870
S 12.1682 5.5190 5.8897
S 10.8493 2.6354 1.9509
In 4.7234 2.7507 11.3901
O 10.7694 5.1572 13.5870
O 5.4206 6.6097 9.7324
O 1.1703 3.7390 8.5644
O 12.6380 1.4107 5.8615
Na 0.1517 5.0969 15.7064
O 0.8332 3.5593 10.9987
O 8.4000 6.9388 20.3482
O 9.7492 6.6883 1.8684
S -1.2893 2.2937 5.8398
In -0.0050 5.2478 7.4468
O -0.8611 6.4075 5.9212
O 9.6732 1.6703 16.4425
O 15.3532 2.8195 14.9721
O 15.1026 2.7823 21.6489
O -3.5291 6.5680 9.7106
O 11.6742 2.4505 0.7138
O 9.9796 1.4331 2.0562
O 5.3084 6.1819 18.8418
O 6.1112 2.7804 21.5926
O 5.5635 4.0784 3.2180
O 12.8832 6.3518 13.8859
Na 13.6823 2.6694 19.4811
O 8.2307 6.4935 5.9257
O 14.2633 6.1590 18.8516
S 2.7642 5.2575 21.5169
S 1.3734 2.9223 9.7828
O 12.8350 4.4024 12.5246
In 0.0090 5.2165 12.1096
O 3.5120 3.9567 21.6746
O -1.6220 5.4893 17.6650
In 13.6999 2.6575 23.0745
O 10.9632 5.5481 22.7911
Na 0.0734 5.3140 4.0009
O 8.4978 6.8409 13.5817
O 5.2522 4.2861 0.7932
O 0.9814 6.6247 17.7813
O 14.2789 0.8867 3.2239
O 5.6286 1.0682 0.7659
O -2.7023 7.5920 21.3944
S 1.8731 2.6202 1.9322
In 13.4314 2.5033 4.3925
O 1.3033 1.5575 18.9944
O 3.3375 6.3087 4.6279
In 0.0921 0.0136 3.5466
Na 17.9888 0.1273 23.3991
O 11.8486 7.7401 9.6961
O 17.0253 1.3953 13.8550
O 6.2348 2.5099 5.7692
O 2.7110 7.5089 16.4188
Na 7.5074 2.8795 17.4457
*/

The role of the mother versus other parties. The biggest challenge and difficulty which comes along with handling a newborn, is separating its biological instincts. The baby is biologically attached to the mother, the one that bore him or her. This natural instinct can create an uproar as the child is handled by someone else. But this is also important because it allows the newborn to experience human emotion of fear and how to handle it. This is the first true sense of fear that the child will feel, and it is important to let him or her feel it, since that is simply life taking on its role of welcoming. This sense of fear can be surpassed if the individual caring for the babe takes on the following advice that this blog suggest. Amongst these more difficult suggestion, a basic one should also be discussed. Prior the holding the babe one must consider and abide to rule of cleanliness, hence cleaned and sanitized hands and clothes. The child is at most risk, since alongside other developments the immune system is yet to strengthen. 

The babe can catch a bacteria or virus much more quickly and severely than a grown human. Due to the lack of abilities the babe might not be able to fight off such bacteria regardless of how large or petite the germs may be. This can result in very serious harm and some severe cases maybe even death. The baby should be kept clean but the people surrounding and specially taking it into their hands should abide to health safety rules. They should be cured of any contagious disease or viruses.

They should also wash their hands with soap and keep a bottle of hand sanitizer near the baby. By keeping a bottle for use for the people holding the baby it ensures that they are sanitized regardless if they carry germs or not. The mouth of the child should also be avoided, regardless of it being a human instinct to kiss the mouth, it can be harmful. Kisses on other skin parts can be healthier and better for him or her.

If all these suggestions are taken into account, your baby will develop into a healthy toddler and an even healthier adult, not just physically but mentally and spiritually as well.